## Work order
Please duplicate everything below character by character.
## Input
/*
Run i
{"formula": "C3H9N2", "method": "wB97M-V/def2-TZVPD", "elements": ["C", "C", "C", "N", "N", "H", "H", "H", "H", "H", "H", "H", "H", "H"], "positions_angstrom": [[-0.7140, -1.0092, -1.0545], [-0.2727, -0.2690, 0.1640], [0.8550, 0.4481, 0.3472], [1.7858, 0.8204, -0.5502], [-1.3967, 0.0099, 1.1152], [0.1911, -1.3687, -1.5657], [-1.1811, -1.9708, -0.8288], [-1.2457, -0.3821, -1.7634], [0.8367, 1.0456, 1.2573], [1.8121, 0.4545, -1.4890], [2.5780, 1.3615, -0.2438], [-2.2946, 0.0207, 0.6185], [-1.5252, -0.7935, 1.7387], [-1.3265, 0.9000, 1.6042]], "mulliken_charge": [-1.365, 0.375, -0.222, -0.373, -0.312, 0.376, 0.396, 0.360, 0.247, 0.199, 0.226, 0.377, 0.367, 0.348], "homo_energy_ev": -12.83, "charge": 1, "gap_ev": 9.27, "lumo_ev": -3.558}

Run ii
{"formula": "C3H9N2", "method": "wB97M-V/def2-TZVPD", "elements": ["C", "C", "C", "N", "N", "H", "H", "H", "H", "H", "H", "H", "H", "H"], "positions_angstrom": [[-1.8710, 0.0297, 0.3094], [2.1054, 0.4461, 0.7803], [0.6909, -0.9050, -0.6917], [-3.0003, 0.1290, -0.3580], [1.5010, 0.0336, -0.5348], [-1.8784, 0.2788, 1.2915], [3.1742, 0.5280, 0.8045], [1.8304, 1.4609, 0.9999], [2.1927, -0.2826, 1.5079], [0.2360, -1.2419, -1.6861], [0.4165, -1.5983, 0.1695], [-3.8493, 0.3810, 0.0170], [1.5303, 0.7755, -1.2309], [-3.0783, -0.0349, -1.3786]], "mulliken_charge": [-0.303, -0.885, -0.219, -0.259, -0.029, 0.245, 0.374, 0.340, 0.350, 0.316, 0.312, 0.226, 0.295, 0.238], "homo_energy_ev": -12.50, "charge": 1, "gap_ev": 8.63, "lumo_ev": -3.870}

Run iii
{"formula": "C3H9N2", "method": "wB97M-V/def2-TZVPD", "elements": ["C", "N", "H", "H", "H", "H", "C", "C", "N", "H", "H", "H", "H", "H"], "positions_angstrom": [[0.5571, -1.1129, 0.0938], [1.7253, -0.4582, 0.3671], [-0.0544, -1.4274, 0.9221], [0.5191, -1.8326, -0.7021], [2.3528, -0.3552, -0.4151], [2.1908, -0.8069, 1.1997], [-1.1806, -0.2425, -0.8228], [-0.4826, 0.8188, -0.3576], [-0.7281, 1.6013, 0.7200], [-1.1099, -0.5861, -1.8419], [-1.9813, -0.6221, -0.1948], [0.2377, 1.2186, -1.0694], [-0.9453, 2.5634, 0.5180], [-1.1006, 1.2417, 1.5832]], "mulliken_charge": [-0.493, -0.364, 0.469, 0.343, 0.250, 0.265, -0.776, 0.189, -0.379, 0.356, 0.325, 0.349, 0.250, 0.216], "homo_energy_ev": -13.86, "charge": 1, "gap_ev": 9.70, "lumo_ev": -4.164}

Most stable: run i

Run i
{"formula": "C3H9N2", "method": "wB97M-V/def2-TZVPD", "elements": ["C", "C", "C", "N", "N", "H", "H", "H", "H", "H", "H", "H", "H", "H"], "positions_angstrom": [[-4.5232, 1.3711, 0.3794], [-4.2614, 1.9096, 1.6906], [-3.3267, 1.2455, 2.8907], [-2.1336, 2.2677, 2.6819], [-4.5905, 3.0961, 2.1086], [-5.1726, 2.1369, -0.2000], [-4.2591, 0.4634, -0.1686], [-3.0642, 0.1978, 2.7328], [21.6128, -11.0010, -11.4427], [-1.5880, 2.4518, 3.5343], [-3.7055, 1.2873, 3.9193], [-4.5303, 3.8870, 1.5898], [-2.5069, 3.1451, 2.2132], [22.0493, -12.4584, -11.9293]], "mulliken_charge": [-0.416, 0.449, -0.232, -0.462, -0.346, 0.258, 0.338, 0.319, -0.001, 0.275, 0.293, 0.271, 0.253, 0.001], "homo_energy_ev": -11.66, "charge": 1, "gap_ev": 2.86, "lumo_ev": -8.799}

Run ii
{"formula": "C3H9N2", "method": "wB97M-V/def2-TZVPD", "elements": ["C", "C", "N", "H", "H", "H", "H", "H", "C", "N", "H", "H", "H", "H"], "positions_angstrom": [[1.8761, 0.6054, 1.2543], [0.4224, 0.5054, 0.7676], [0.2606, -0.4966, -0.1764], [2.1733, -0.3497, 1.6728], [2.0334, 1.4016, 1.9646], [2.5329, 0.7631, 0.4042], [0.1394, 1.4885, 0.3578], [-0.2542, 0.3508, 1.6340], [-1.0479, -0.9380, -0.4843], [-1.5285, 0.0657, -1.4160], [-1.0473, -1.8888, -1.0040], [-1.6850, -0.9592, 0.3964], [-1.6582, 0.9755, -0.9839], [-0.9134, 0.1538, -2.2241]], "mulliken_charge": [-1.237, -0.176, -0.037, 0.350, 0.382, 0.349, 0.325, 0.411, -0.322, -0.363, 0.339, 0.389, 0.283, 0.307], "homo_energy_ev": -16.21, "charge": 1, "gap_ev": 7.78, "lumo_ev": -8.431}

Run iii
*/
## Written answer
Run i
{"formula": "C3H9N2", "method": "wB97M-V/def2-TZVPD", "elements": ["C", "C", "C", "N", "N", "H", "H", "H", "H", "H", "H", "H", "H", "H"], "positions_angstrom": [[-0.7140, -1.0092, -1.0545], [-0.2727, -0.2690, 0.1640], [0.8550, 0.4481, 0.3472], [1.7858, 0.8204, -0.5502], [-1.3967, 0.0099, 1.1152], [0.1911, -1.3687, -1.5657], [-1.1811, -1.9708, -0.8288], [-1.2457, -0.3821, -1.7634], [0.8367, 1.0456, 1.2573], [1.8121, 0.4545, -1.4890], [2.5780, 1.3615, -0.2438], [-2.2946, 0.0207, 0.6185], [-1.5252, -0.7935, 1.7387], [-1.3265, 0.9000, 1.6042]], "mulliken_charge": [-1.365, 0.375, -0.222, -0.373, -0.312, 0.376, 0.396, 0.360, 0.247, 0.199, 0.226, 0.377, 0.367, 0.348], "homo_energy_ev": -12.83, "charge": 1, "gap_ev": 9.27, "lumo_ev": -3.558}

Run ii
{"formula": "C3H9N2", "method": "wB97M-V/def2-TZVPD", "elements": ["C", "C", "C", "N", "N", "H", "H", "H", "H", "H", "H", "H", "H", "H"], "positions_angstrom": [[-1.8710, 0.0297, 0.3094], [2.1054, 0.4461, 0.7803], [0.6909, -0.9050, -0.6917], [-3.0003, 0.1290, -0.3580], [1.5010, 0.0336, -0.5348], [-1.8784, 0.2788, 1.2915], [3.1742, 0.5280, 0.8045], [1.8304, 1.4609, 0.9999], [2.1927, -0.2826, 1.5079], [0.2360, -1.2419, -1.6861], [0.4165, -1.5983, 0.1695], [-3.8493, 0.3810, 0.0170], [1.5303, 0.7755, -1.2309], [-3.0783, -0.0349, -1.3786]], "mulliken_charge": [-0.303, -0.885, -0.219, -0.259, -0.029, 0.245, 0.374, 0.340, 0.350, 0.316, 0.312, 0.226, 0.295, 0.238], "homo_energy_ev": -12.50, "charge": 1, "gap_ev": 8.63, "lumo_ev": -3.870}

Run iii
{"formula": "C3H9N2", "method": "wB97M-V/def2-TZVPD", "elements": ["C", "N", "H", "H", "H", "H", "C", "C", "N", "H", "H", "H", "H", "H"], "positions_angstrom": [[0.5571, -1.1129, 0.0938], [1.7253, -0.4582, 0.3671], [-0.0544, -1.4274, 0.9221], [0.5191, -1.8326, -0.7021], [2.3528, -0.3552, -0.4151], [2.1908, -0.8069, 1.1997], [-1.1806, -0.2425, -0.8228], [-0.4826, 0.8188, -0.3576], [-0.7281, 1.6013, 0.7200], [-1.1099, -0.5861, -1.8419], [-1.9813, -0.6221, -0.1948], [0.2377, 1.2186, -1.0694], [-0.9453, 2.5634, 0.5180], [-1.1006, 1.2417, 1.5832]], "mulliken_charge": [-0.493, -0.364, 0.469, 0.343, 0.250, 0.265, -0.776, 0.189, -0.379, 0.356, 0.325, 0.349, 0.250, 0.216], "homo_energy_ev": -13.86, "charge": 1, "gap_ev": 9.70, "lumo_ev": -4.164}

Most stable: run i

Run i
{"formula": "C3H9N2", "method": "wB97M-V/def2-TZVPD", "elements": ["C", "C", "C", "N", "N", "H", "H", "H", "H", "H", "H", "H", "H", "H"], "positions_angstrom": [[-4.5232, 1.3711, 0.3794], [-4.2614, 1.9096, 1.6906], [-3.3267, 1.2455, 2.8907], [-2.1336, 2.2677, 2.6819], [-4.5905, 3.0961, 2.1086], [-5.1726, 2.1369, -0.2000], [-4.2591, 0.4634, -0.1686], [-3.0642, 0.1978, 2.7328], [21.6128, -11.0010, -11.4427], [-1.5880, 2.4518, 3.5343], [-3.7055, 1.2873, 3.9193], [-4.5303, 3.8870, 1.5898], [-2.5069, 3.1451, 2.2132], [22.0493, -12.4584, -11.9293]], "mulliken_charge": [-0.416, 0.449, -0.232, -0.462, -0.346, 0.258, 0.338, 0.319, -0.001, 0.275, 0.293, 0.271, 0.253, 0.001], "homo_energy_ev": -11.66, "charge": 1, "gap_ev": 2.86, "lumo_ev": -8.799}

Run ii
{"formula": "C3H9N2", "method": "wB97M-V/def2-TZVPD", "elements": ["C", "C", "N", "H", "H", "H", "H", "H", "C", "N", "H", "H", "H", "H"], "positions_angstrom": [[1.8761, 0.6054, 1.2543], [0.4224, 0.5054, 0.7676], [0.2606, -0.4966, -0.1764], [2.1733, -0.3497, 1.6728], [2.0334, 1.4016, 1.9646], [2.5329, 0.7631, 0.4042], [0.1394, 1.4885, 0.3578], [-0.2542, 0.3508, 1.6340], [-1.0479, -0.9380, -0.4843], [-1.5285, 0.0657, -1.4160], [-1.0473, -1.8888, -1.0040], [-1.6850, -0.9592, 0.3964], [-1.6582, 0.9755, -0.9839], [-0.9134, 0.1538, -2.2241]], "mulliken_charge": [-1.237, -0.176, -0.037, 0.350, 0.382, 0.349, 0.325, 0.411, -0.322, -0.363, 0.339, 0.389, 0.283, 0.307], "homo_energy_ev": -16.21, "charge": 1, "gap_ev": 7.78, "lumo_ev": -8.431}

Run iii